The Women Are Not All Right
It was almost 11 by the time I became vaguely aware that I hadn’t heard the distinctive familiar sounds of the Brian Lehrer Show on WNYC. Instead I heard various news announcers; news of some kind had broken. But the volume was low, I was in back to back meetings all morning and it all stayed in the background. It was in a three-minute lull between Zoom calls that I dipped into Twitter and learned of our altered reality.
I spent the rest of the day numb but vibrating with a new kind of anxiety that would seep out the following day into a stunned despair. Then it would grow into a vicious pendulum swing between sadness and fury, sweeping over a pit of total helplessness.
But you live in a blue state.
But you’re practically too old to even get pregnant.
But you haven’t even had a period in three years.
But you don’t have daughters you need to worry about.
This isn’t going to affect you.
My avoidance-seeking lizard brain was feeding me all kinds of bullshit. Things that were technically true but nonetheless meaningless. I don’t have daughters but I know young women of all kinds in all parts of my life. Women who definitely want to have babies (or more babies) someday. Women who definitely don’t. Women who will have less control over that exceedingly personal decision about whether to give their body over to the gestation of a new human. Women who will have to roll the dice when they partake of their natural sexuality, when they—as they have every right—experience the sensuality of intimacy with a person harboring sperm. Who will worry for days until their next period, no matter how many precautions were taken.
Yeah, I’m practically too old and I’ve been on birth control pills for so long it seems my uterus has totally abandoned its natural biological behaviors. Yeah, I live in New York which, for the moment, will be a safe haven for those who need abortion care. A state in which, should I weirdly become pregnant, I would be able to exercise my bodily autonomy and decide for my damn self whether I was going to change my mind about wanting a kid.
Yeah, the loss of Roe will not actively affect me. But that does not change the fact that the message is loud and clear: the female sex can get down with having babies or fuck off. The uterus-containing bodies are first and foremost vessels for babies. The personhood of the uterus’s owner is secondary at best. Tertiary in places like Missouri. The right of women to pursue their happiness and their goals, to enjoy the full fruits of their existence is secondary to her biological ability to bear offspring. And this is where the rage starts.
And as infuriating and appalling as that notion is, we are, maximum, two elections away from it all getting even worse.
Vote they say. I say it too. Vote, they say as they ask for money to get out the vote because OMG Roe was overturned! Give me money so I can help! Can you pitch in $5 so I can help restore rights to half of the citizenry?! And yes, I’ll fucking vote for you. But I’m done giving your ineffectual asses money, democrats. You’re going to collectively earn my next donation to any democratic candidate. But I will vote for you, even though you are an embarrassment of disorganization and short-sightedness and naïveté. Even though you knew this was coming and did fuck all to even try to counter it. I will vote for you because the other party is comprised largely of literal fascists and/or gun worshipping religious zealots whose majority would just love to impose an authoritarian theocratic state upon us liberal, baby-killing heathens who have zero problems with drag queens and people who don’t want to live as their biological sex. (Yes, yes, I know “not ALL republicans”—but too fucking damn many. If you’re a republican and consider yourself a reasonable person, take a long look at your party and consider some recalibration. Those fuckers aren’t all about small government and lower taxes any longer, my dude.)
As you may be able to tell from this aimless, messy ranting, I’m having a hard time articulating myself around this whole paradigm shift. I’ve been struggling to find a worthy analog, something to help men understand a little bit about how this feels. To remind women who feel removed from it by age, circumstance or demeanor. To possibly help the pro-forced-birth set to consider this all from a less dogmatic perspective. (Not that I have many or any of those folks in my regular audience.) The closest I can get I found on Twitter, where I have been spending a truly regrettable amount of time. It goes something like this:
You have two healthy kidneys.
You are a match to a stranger who needs a kidney.
The state says you are legally obligated to donate your kidney to that person.
How does that make you feel?
Now, sure, some of us would gladly give up a kidney to someone we love. And some may even do so for a stranger—it’s certainly been known to happen. But those are choices. People are able to decide to offer their body up to an invasive medical procedure and then carry on with their life hoping there are no complications and that the absence of that other kidney won’t become problematic.
That’s what pregnant people who can’t or don’t want to have a baby are dealing with.
And sure you can say, Well, they chose to have sex and they knew the risks. No one forced them to get pregnant. (Except, you know, if someone forced them to have sex and they got pregnant. But never mind that. A little baby they never wanted and the bliss of compulsory motherhood will make that rape just fade harmlessly into their memory, right? Sure thing.)
To those people who shrug and say, well, just don’t be a slut, ladies, and you won’t have this problem: fuck you.
To those people who say that pregnancies rarely result from rape, so that’s not a real problem: fuck you.
To those people who are vehemently anti-abortion who put it all on women and what women did to get pregnant and countenance no circumspection about the roles of men, of toxic masculinity and the outdated gender norms we still raise girls and boys with: fuck you.
/*
No. 1
# C2H5NOS

An isolated molecule of C2H5NOS (ωB97M-V with the def2-TZVPD basis set, the Open Molecules 2025 dataset).

The value obtained for the total energy is -607.33528 a.u. The value obtained for the HOMO energy is -9.2 eV.

```
! wB97M-V def2-TZVPD RIJCOSX def2/J DEFGRID3
* xyz 0 1
C 1.519 0.026 0.293
N 0.209 0.780 0.359
S -1.156 0.108 1.173
C -1.892 -0.586 -0.411
O -3.020 -0.837 -0.720
H 1.765 -0.260 1.344
H 1.539 -0.827 -0.417
H 2.199 0.902 0.014
H -0.066 1.134 -0.501
H -1.096 -0.439 -1.134
*
```

***

No. 2
# C2H5NOS

A structure of composition C2H5NOS (ωB97M-V with the def2-TZVPD basis set, the Open Molecules 2025 dataset).

The value obtained for the total energy is -607.31377 a.u. The value obtained for the HOMO energy is -8.1 eV.

```
! wB97M-V def2-TZVPD RIJCOSX def2/J DEFGRID3
* xyz 0 1
C -1.322 0.192 -0.579
C 0.399 -0.631 -0.134
N 1.133 0.097 0.819
O -1.574 1.283 0.062
S -2.214 -0.466 -1.759
H 0.829 -0.535 -1.218
H 0.229 -1.683 0.056
H 1.300 -0.433 1.791
H -0.855 1.754 0.483
H 2.073 0.422 0.479
*
```

***

No. 3
# C2H5NOS

An isolated molecule of C2H5NOS (ωB97M-V with the def2-TZVPD basis set, the Open Molecules 2025 dataset).

The value obtained for the total energy is -607.37325 a.u. The value obtained for the HOMO energy is -8.9 eV.

```
! wB97M-V def2-TZVPD RIJCOSX def2/J DEFGRID3
* xyz 0 1
C 1.455 0.814 0.068
S 0.949 -0.789 -0.716
N -0.522 -1.105 0.048
C -1.633 -0.293 -0.178
O -1.589 0.770 -0.744
H 0.561 1.368 0.152
H 2.152 1.366 -0.538
H 1.854 0.559 1.036
H -0.700 -1.967 0.500
H -2.526 -0.724 0.371
*
```

***

No. 4
# C2H5NOS2

An isolated molecule of C2H5NOS2 (ωB97M-V with the def2-TZVPD basis set, the Open Molecules 2025 dataset).

The value obtained for the total energy is -1005.51440 a.u. The value obtained for the HOMO energy is -8.8 eV.

```
! wB97M-V def2-TZVPD RIJCOSX def2/J DEFGRID3
* xyz 0 1
O -0.475 1.299 -0.457
C -0.126 0.407 0.357
C 1.320 0.362 0.798
S 2.512 -0.317 -0.401
N -1.047 -0.449 0.713
S -2.413 -0.268 -0.238
H 1.349 -0.221 1.753
H 1.521 1.556 0.940
H 2.055 -1.566 -0.478
H -0.793 -1.439 1.175
H -1.761 -0.838 -1.431
*
```

***

No. 5
# C2H5NOSi

A cluster of 2 separate species, C2H5NOSi in total (ωB97M-V with the def2-TZVPD basis set, the Open Molecules 2025 dataset).

The value obtained for the total energy is -498.45599 a.u. The expectation value of S² is 2.01. The value obtained for the HOMO energy (alpha / beta) is -6.8 / -11.4 eV.

```
! wB97M-V def2-TZVPD RIJCOSX def2/J DEFGRID3
* xyz 0 3
C 2.392 0.049 -0.236
C -1.079 0.938 0.158
N 3.107 0.931 -0.459
O -0.953 -0.274 -0.618
Si 0.171 -1.339 -0.216
H -0.245 1.555 0.054
H -1.232 0.514 1.234
H -1.992 1.497 -0.130
H -0.357 -2.521 -1.026
H 0.186 -1.349 1.240
*
```

***

No. 6
# C2H5NP2

A cluster of 2 separate species, C2H5NP2 in total (ωB97M-V with the def2-TZVPD basis set, the Open Molecules 2025 dataset).

The value obtained for the total energy is -816.53159 a.u. The value obtained for the HOMO energy (alpha / beta) is -7.1 / -7.0 eV.

```
*/
To those people who are rabidly anti-abortion but clutch their pearls and raise hell at school board meetings at the slightest whiff of a proper sex education for their children or the presence of condoms on the counselor’s desk at the high school: fuck you.
To those people who would sooner have a woman die than have an abortion, who would sooner a woman deliver a child stillborn or unviable beyond days or weeks because of birth defect: an especially strident fuck you to you assholes.
To doctors who ask women if their boyfriends/husbands/partners gave them permission to get an IUD or a tubal ligation: fuck you.
This list may be ongoing.